_Exercise_
It remains to find "eV: -3.16" and "H16 6.92914" in the material below, and transcribe these two lines and those between.
_Contents_
<<<
(1)
Density functional theory data (ωB97M-V/def2-TZVPD) for an isolated ion of composition C4H12NS and charge +1 in a non-equilibrium geometry.

Each line ends with the Löwdin charge.
Element x y z (Å)
C1 0.89011 -1.23089 -0.81577  -0.117
C2 0.18614 0.08583 -1.06273  -0.663
S1 -1.23035 0.25359 -2.21171  0.815
N1 -0.19724 0.79356 0.28337  -0.218
C3 -1.32059 0.03122 0.87638  -0.046
C4 0.95470 0.93993 1.23835  0.029
H1 1.13410 -1.75976 -1.86174  0.148
H2 1.85593 -1.12464 -0.28740  0.083
H3 0.32846 -2.00927 -0.21385  0.098
H4 0.98854 0.70339 -1.69083  0.152
H5 -2.05063 -0.78308 -1.71583  -0.066
H6 -0.54577 1.78059 -0.00134  0.208
H7 -1.94531 -0.30425 -0.02251  0.045
H8 -0.79333 -0.88663 1.43009  0.150
H9 -1.89026 0.63881 1.65365  0.134
H10 1.29419 0.01219 1.42971  0.056
H11 1.74303 1.49054 0.86011  0.098
H12 0.59829 1.36888 2.11205  0.096

Properties
Gap between HOMO and LUMO in eV: 10.93
Total charge: +1
HOMO in eV: -14.09
Structure (SMILES): C[C@@H](S)[NH+](C)C
LUMO in eV: -3.16
Energy above the lowest of the compared OMol25 structures with the same formula, charge and spin in kJ/mol: 166.39

***

(2)
Density functional theory data (ωB97M-V/def2-TZVPD) for an isolated ion of composition C4H8N3O2 and charge +1 in a non-equilibrium geometry.

Each line ends with the Löwdin charge.
Element x y z (Å)
C1 -0.28311 0.84663 1.24302  0.144
N1 0.32456 0.38300 0.19010  -0.211
C2 0.46889 1.03494 -1.05822  -0.016
C3 0.19372 -1.08995 0.19864  -0.121
N2 -1.19119 -1.48144 0.33657  0.081
C4 -2.09720 -0.69113 0.83914  0.039
N3 -3.28634 -0.92462 1.48654  -0.374
O1 -2.84670 -1.29833 2.62170  0.094
O2 -4.41681 -0.73747 1.12362  0.174
H1 -0.47315 1.94942 1.22649  0.154
H2 -0.20588 0.38245 2.14890  0.088
H3 0.31062 0.21376 -1.88859  0.142
H4 -0.28963 1.85061 -1.13000  0.119
H5 1.54836 1.37145 -1.09568  0.132
H6 0.63151 -1.54574 -0.71617  0.151
H7 0.83660 -1.36818 1.16665  0.196
H8 -1.35068 -2.44363 -0.06953  0.209

Properties
Gap between HOMO and LUMO in eV: 9.15
Total charge: +1
HOMO in eV: -14.24
Structure (SMILES): C=[N+](C)C[NH+]=C=[N+]([O-])[O-]
LUMO in eV: -5.09
Energy above the lowest of the compared OMol25 structures with the same formula, charge and spin in kJ/mol: 802.48

***

(3)
Density functional theory data (ωB97M-V/def2-TZVPD) for C32H56AsFN3OP2S5Sc as an isolated structure.

Each line ends with the Löwdin charge.
Element x y z (Å)
Sc1 0.76405 -0.33538 0.69166  0.340
S1 3.93715 -1.54299 4.28690  -0.180
As1 2.03797 -0.90647 3.54690  -0.486
S2 2.34422 0.91107 2.30862  0.073
S3 1.20579 -2.37581 2.12425  0.063
S4 0.59355 -0.44512 5.03461  -0.210
C1 1.64476 3.89876 0.80111  -0.300
P1 0.30920 2.62358 0.86372  0.820
C2 -0.29071 2.92995 2.58061  -0.291
C3 -0.84727 3.55167 -0.24624  -0.377
C4 -1.76413 4.52968 0.13385  -0.104
C5 -2.56830 5.16707 -0.80816  -0.108
C6 -2.46751 4.83630 -2.15338  -0.117
C7 -1.55663 3.86153 -2.55315  -0.099
C8 -0.76166 3.22339 -1.60680  -0.105
H1 2.08763 3.94077 -0.19123  -0.006
H2 2.42287 3.62181 1.51215  0.003
H3 1.23373 4.87527 1.07202  0.040
H4 -1.18676 3.55072 2.60039  0.020
H5 0.50633 3.41201 3.13704  0.036
H6 -0.49498 1.98437 3.07279  -0.002
H7 -1.85931 4.80981 1.17889  0.088
H8 -3.28085 5.92200 -0.48709  0.092
H9 -3.10682 5.32138 -2.88353  0.089
H10 -1.47626 3.58419 -3.59994  0.099
H11 -0.06934 2.44243 -1.91574  0.095
C9 6.61244 0.16278 -1.71315  -0.077
N1 6.23128 0.59423 -0.39793  -0.174
C10 6.89034 0.06898 0.78717  -0.139
C11 6.01701 0.60355 1.91221  -0.151
N2 5.29401 1.70673 1.25193  0.008
C12 5.32141 1.56308 -0.10043  -0.835
S5 4.43780 2.46071 -1.21977  0.568
H12 6.49276 -0.92211 -1.80294  0.084
H13 7.65792 0.41664 -1.92841  0.082
H14 5.97379 0.65856 -2.43608  0.038
H15 7.91800 0.44938 0.84552  0.113
H16 6.92914 -1.02086 0.76672  0.097
H17 6.61122 0.97456 2.74684  0.111
H18 5.30908 -0.13897 2.29228  0.036
H19 4.40089 1.87399 1.71844  0.006
C13 -2.78935 0.26914 -2.25390  -0.093
C14 -3.72669 0.11808 -1.02989  -0.578
C15 -4.04179 1.54284 -0.54565  -0.098
C16 -5.04951 -0.52267 -1.45688  -0.095
>>>
_Response_
LUMO in eV: -3.16
Energy above the lowest of the compared OMol25 structures with the same formula, charge and spin in kJ/mol: 166.39

***

(2)
Density functional theory data (ωB97M-V/def2-TZVPD) for an isolated ion of composition C4H8N3O2 and charge +1 in a non-equilibrium geometry.

Each line ends with the Löwdin charge.
Element x y z (Å)
C1 -0.28311 0.84663 1.24302  0.144
N1 0.32456 0.38300 0.19010  -0.211
C2 0.46889 1.03494 -1.05822  -0.016
C3 0.19372 -1.08995 0.19864  -0.121
N2 -1.19119 -1.48144 0.33657  0.081
C4 -2.09720 -0.69113 0.83914  0.039
N3 -3.28634 -0.92462 1.48654  -0.374
O1 -2.84670 -1.29833 2.62170  0.094
O2 -4.41681 -0.73747 1.12362  0.174
H1 -0.47315 1.94942 1.22649  0.154
H2 -0.20588 0.38245 2.14890  0.088
H3 0.31062 0.21376 -1.88859  0.142
H4 -0.28963 1.85061 -1.13000  0.119
H5 1.54836 1.37145 -1.09568  0.132
H6 0.63151 -1.54574 -0.71617  0.151
H7 0.83660 -1.36818 1.16665  0.196
H8 -1.35068 -2.44363 -0.06953  0.209

Properties
Gap between HOMO and LUMO in eV: 9.15
Total charge: +1
HOMO in eV: -14.24
Structure (SMILES): C=[N+](C)C[NH+]=C=[N+]([O-])[O-]
LUMO in eV: -5.09
Energy above the lowest of the compared OMol25 structures with the same formula, charge and spin in kJ/mol: 802.48

***

(3)
Density functional theory data (ωB97M-V/def2-TZVPD) for C32H56AsFN3OP2S5Sc as an isolated structure.

Each line ends with the Löwdin charge.
Element x y z (Å)
Sc1 0.76405 -0.33538 0.69166  0.340
S1 3.93715 -1.54299 4.28690  -0.180
As1 2.03797 -0.90647 3.54690  -0.486
S2 2.34422 0.91107 2.30862  0.073
S3 1.20579 -2.37581 2.12425  0.063
S4 0.59355 -0.44512 5.03461  -0.210
C1 1.64476 3.89876 0.80111  -0.300
P1 0.30920 2.62358 0.86372  0.820
C2 -0.29071 2.92995 2.58061  -0.291
C3 -0.84727 3.55167 -0.24624  -0.377
C4 -1.76413 4.52968 0.13385  -0.104
C5 -2.56830 5.16707 -0.80816  -0.108
C6 -2.46751 4.83630 -2.15338  -0.117
C7 -1.55663 3.86153 -2.55315  -0.099
C8 -0.76166 3.22339 -1.60680  -0.105
H1 2.08763 3.94077 -0.19123  -0.006
H2 2.42287 3.62181 1.51215  0.003
H3 1.23373 4.87527 1.07202  0.040
H4 -1.18676 3.55072 2.60039  0.020
H5 0.50633 3.41201 3.13704  0.036
H6 -0.49498 1.98437 3.07279  -0.002
H7 -1.85931 4.80981 1.17889  0.088
H8 -3.28085 5.92200 -0.48709  0.092
H9 -3.10682 5.32138 -2.88353  0.089
H10 -1.47626 3.58419 -3.59994  0.099
H11 -0.06934 2.44243 -1.91574  0.095
C9 6.61244 0.16278 -1.71315  -0.077
N1 6.23128 0.59423 -0.39793  -0.174
C10 6.89034 0.06898 0.78717  -0.139
C11 6.01701 0.60355 1.91221  -0.151
N2 5.29401 1.70673 1.25193  0.008
C12 5.32141 1.56308 -0.10043  -0.835
S5 4.43780 2.46071 -1.21977  0.568
H12 6.49276 -0.92211 -1.80294  0.084
H13 7.65792 0.41664 -1.92841  0.082
H14 5.97379 0.65856 -2.43608  0.038
H15 7.91800 0.44938 0.84552  0.113
H16 6.92914 -1.02086 0.76672  0.097